== Contents ==
=====
Below is a geometry-optimized Rb2Ca3PrF12 structure, with properties calculated at the PBE level.

Uncorrected formation energy   -60.88 eV/f.u.

Cell: 8.1646 8.1646 21.3500 Å, 90.00 90.00 120.00°
Space group R-3m (No. 166, hexagonal axes)
Inequivalent atoms, fractional coordinates:
Rb: 0.0000 0.0000 0.0901 x6
Ca: 0.0000 0.5000 0.0000 x9
Pr: 0.0000 0.0000 0.5000 x3
F: 0.0476 0.5238 0.3568 x18
F: 0.0706 0.5353 0.1031 x18


Below is a geometry-optimized CaPtF3 structure, with properties calculated at the PBE level.

Energy above the lowest structure with this stoichiometry   0 meV per atom
Uncorrected formation energy   -8.89 eV/f.u.

Cell: 4.3965 4.3965 4.3965 Å, 90.00 90.00 90.00°
Space group Pm-3m (No. 221)
Inequivalent atoms, fractional coordinates:
Ca: 0.0000 0.0000 0.0000 x1
Pt: 0.5000 0.5000 0.5000 x1
F: 0.0000 0.0000 0.5000 x3


Below is a geometry-optimized CaPtF2 structure, with properties calculated at the PBE level.

Energy above the lowest structure with this stoichiometry   417 meV per atom
Uncorrected formation energy   -6.49 eV/f.u.

Cell: 5.2994 5.2994 11.4487 Å, 90.00 90.00 90.00°
Space group I-42d (No. 122)
Inequivalent atoms, fractional coordinates:
Ca: 0.0000 0.0000 0.0000 x4
Pt: 0.0000 0.0000 0.5000 x4
F: 0.1748 0.2500 0.1250 x8


Below is a geometry-optimized Ca3PtF structure, with properties calculated at the PBE level.

Energy above the lowest structure with this stoichiometry   0 meV per atom
Uncorrected formation energy   -6.75 eV/f.u.

Cell: 4.7931 4.7931 4.7931 Å, 90.00 90.00 90.00°
Space group Pm-3m (No. 221)
Inequivalent atoms, fractional coordinates:
Ca: 0.0000 0.0000 0.5000 x3
Pt: 0.5000 0.5000 0.5000 x1
F: 0.0000 0.0000 0.0000 x1


Below is a geometry-optimized Ca4Pt2F structure, with properties calculated at the PBE level.

Uncorrected formation energy   -9.48 eV/f.u.

Cell: 4.5917 4.5917 15.6207 Å, 90.00 90.00 90.00°
Space group I4/mmm (No. 139)
Inequivalent atoms, fractional coordinates:
Ca: 0.0000 0.0000 0.1859 x4
Ca: 0.0000 0.5000 0.0000 x4
Pt: 0.0000 0.0000 0.3728 x4
F: 0.0000 0.0000 0.0000 x2


Below is a geometry-optimized Ca2PtF8 structure, with properties calculated at the PBE level.

Uncorrected formation energy   -29.43 eV/f.u.

Cell: 6.7820 6.7820 4.4297 Å, 90.00 90.00 120.00°
Space group P-3m1 (No. 164)
Inequivalent atoms, fractional coordinates:
Ca: 0.3333 0.6667 0.2611 x2
Pt: 0.0000 0.0000 0.5000 x1
F: 0.1410 0.2820 0.2603 x6
F: 0.3333 0.6667 0.7610 x2


Number 1: D(E_F) 1.084 states/eV per atom. Number 2: D(E_F) 2.875 states/eV per atom. Number 3: D(E_F) 2.689 states/eV per atom. Number 4: D(E_F) 0.485 states/eV per atom. Number 5: D(E_F) 0.471 states/eV per atom. Number 6: D(E_F) 0.000 states/eV per atom.

~~~~~

The following is a GGA-PBE calculation of SbRu2W after structural relaxation, from Alexandria via LeMat-Bulk.

The energy is -0.6390 Ry per atom. The formation energy without anion corrections comes out at 20.56 kJ per mole of atoms.

Unit cell a=4.910 b=4.910 c=4.689 alpha=100.03 beta=100.03 gamma=35.64
Fractional positions:
Sb: 0.000 0.000 0.000
Ru: 0.501 0.501 0.503
Ru: 0.747 0.747 0.188
W: 0.238 0.238 0.661

~~~~~

Entry 1:
Entry from the Alexandria database: a PBEsol-optimized structure of ScAlMo2 (SCAN).

Summary:
ΔE_f, kcal/mol of atoms: 5.02

Cell: 2.8620 2.8620 27.8945 Å, 90.00 90.00 120.00°
Space group R-3m (No. 166, hexagonal axes)
Inequivalent atoms, fractional coordinates:
1 Sc 0.0000 0.0000 0.0000
2 Al 0.0000 0.0000 0.5000
3 Mo 0.0000 0.0000 0.2457


Entry 2:
Entry from the Alexandria database: a PBEsol-optimized structure of ScAl2Mo (SCAN).

Summary:
ΔE_f, kcal/mol of atoms: -0.60

Cell: 6.3805 6.3805 6.3805 Å, 90.00 90.00 90.00°
Space group F-43m (No. 216)
Inequivalent atoms, fractional coordinates:
1 Sc 0.0000 0.0000 0.0000
2 Al 0.0000 0.0000 0.5000
3 Al 0.2500 0.2500 0.7500
4 Mo 0.2500 0.2500 0.2500


Entry 3:
Entry from the Alexandria database: a PBEsol-optimized structure of Sc2AlMo (SCAN).

Summary:
ΔE_f, kcal/mol of atoms: -0.64
=====

== Exercise ==
Copy the whole of the contents further up unchanged, please.

== Here it is ==
Below is a geometry-optimized Rb2Ca3PrF12 structure, with properties calculated at the PBE level.

Uncorrected formation energy   -60.88 eV/f.u.

Cell: 8.1646 8.1646 21.3500 Å, 90.00 90.00 120.00°
Space group R-3m (No. 166, hexagonal axes)
Inequivalent atoms, fractional coordinates:
Rb: 0.0000 0.0000 0.0901 x6
Ca: 0.0000 0.5000 0.0000 x9
Pr: 0.0000 0.0000 0.5000 x3
F: 0.0476 0.5238 0.3568 x18
F: 0.0706 0.5353 0.1031 x18


Below is a geometry-optimized CaPtF3 structure, with properties calculated at the PBE level.

Energy above the lowest structure with this stoichiometry   0 meV per atom
Uncorrected formation energy   -8.89 eV/f.u.

Cell: 4.3965 4.3965 4.3965 Å, 90.00 90.00 90.00°
Space group Pm-3m (No. 221)
Inequivalent atoms, fractional coordinates:
Ca: 0.0000 0.0000 0.0000 x1
Pt: 0.5000 0.5000 0.5000 x1
F: 0.0000 0.0000 0.5000 x3


Below is a geometry-optimized CaPtF2 structure, with properties calculated at the PBE level.

Energy above the lowest structure with this stoichiometry   417 meV per atom
Uncorrected formation energy   -6.49 eV/f.u.

Cell: 5.2994 5.2994 11.4487 Å, 90.00 90.00 90.00°
Space group I-42d (No. 122)
Inequivalent atoms, fractional coordinates:
Ca: 0.0000 0.0000 0.0000 x4
Pt: 0.0000 0.0000 0.5000 x4
F: 0.1748 0.2500 0.1250 x8


Below is a geometry-optimized Ca3PtF structure, with properties calculated at the PBE level.

Energy above the lowest structure with this stoichiometry   0 meV per atom
Uncorrected formation energy   -6.75 eV/f.u.

Cell: 4.7931 4.7931 4.7931 Å, 90.00 90.00 90.00°
Space group Pm-3m (No. 221)
Inequivalent atoms, fractional coordinates:
Ca: 0.0000 0.0000 0.5000 x3
Pt: 0.5000 0.5000 0.5000 x1
F: 0.0000 0.0000 0.0000 x1


Below is a geometry-optimized Ca4Pt2F structure, with properties calculated at the PBE level.

Uncorrected formation energy   -9.48 eV/f.u.

Cell: 4.5917 4.5917 15.6207 Å, 90.00 90.00 90.00°
Space group I4/mmm (No. 139)
Inequivalent atoms, fractional coordinates:
Ca: 0.0000 0.0000 0.1859 x4
Ca: 0.0000 0.5000 0.0000 x4
Pt: 0.0000 0.0000 0.3728 x4
F: 0.0000 0.0000 0.0000 x2


Below is a geometry-optimized Ca2PtF8 structure, with properties calculated at the PBE level.

Uncorrected formation energy   -29.43 eV/f.u.

Cell: 6.7820 6.7820 4.4297 Å, 90.00 90.00 120.00°
Space group P-3m1 (No. 164)
Inequivalent atoms, fractional coordinates:
Ca: 0.3333 0.6667 0.2611 x2
Pt: 0.0000 0.0000 0.5000 x1
F: 0.1410 0.2820 0.2603 x6
F: 0.3333 0.6667 0.7610 x2


Number 1: D(E_F) 1.084 states/eV per atom. Number 2: D(E_F) 2.875 states/eV per atom. Number 3: D(E_F) 2.689 states/eV per atom. Number 4: D(E_F) 0.485 states/eV per atom. Number 5: D(E_F) 0.471 states/eV per atom. Number 6: D(E_F) 0.000 states/eV per atom.

~~~~~

The following is a GGA-PBE calculation of SbRu2W after structural relaxation, from Alexandria via LeMat-Bulk.

The energy is -0.6390 Ry per atom. The formation energy without anion corrections comes out at 20.56 kJ per mole of atoms.

Unit cell a=4.910 b=4.910 c=4.689 alpha=100.03 beta=100.03 gamma=35.64
Fractional positions:
Sb: 0.000 0.000 0.000
Ru: 0.501 0.501 0.503
Ru: 0.747 0.747 0.188
W: 0.238 0.238 0.661

~~~~~

Entry 1:
Entry from the Alexandria database: a PBEsol-optimized structure of ScAlMo2 (SCAN).

Summary:
ΔE_f, kcal/mol of atoms: 5.02

Cell: 2.8620 2.8620 27.8945 Å, 90.00 90.00 120.00°
Space group R-3m (No. 166, hexagonal axes)
Inequivalent atoms, fractional coordinates:
1 Sc 0.0000 0.0000 0.0000
2 Al 0.0000 0.0000 0.5000
3 Mo 0.0000 0.0000 0.2457


Entry 2:
Entry from the Alexandria database: a PBEsol-optimized structure of ScAl2Mo (SCAN).

Summary:
ΔE_f, kcal/mol of atoms: -0.60

Cell: 6.3805 6.3805 6.3805 Å, 90.00 90.00 90.00°
Space group F-43m (No. 216)
Inequivalent atoms, fractional coordinates:
1 Sc 0.0000 0.0000 0.0000
2 Al 0.0000 0.0000 0.5000
3 Al 0.2500 0.2500 0.7500
4 Mo 0.2500 0.2500 0.2500


Entry 3:
Entry from the Alexandria database: a PBEsol-optimized structure of Sc2AlMo (SCAN).

Summary:
ΔE_f, kcal/mol of atoms: -0.64